Fellows 2022

The intake of Fellows in 2022 are listed below

(Page still under development)

Farhaan Mirza

Director - Data Science Research Centre
Auckland University of Technology

• Attached: records of crystals:
This entry pairs a crystal structure of NaMgICl2 with its calculated powder diffractogram. Radiation: λ = 1.5418 Å (Cu Kα). Structure: a GGA-PBE-relaxed structure.

The 6 most intense peaks (2θ from 10° to 80°), sorted by position:
- (1 0 0), 18.20°, d 4.874, rel. 70
- (0 0 2), 29.17°, d 3.062, rel. 42
- (1 1 1), 29.75°, d 3.003, rel. 100
- (1 0 2), 34.60°, d 2.593, rel. 27
- (2 0 0), 36.88°, d 2.437, rel. 43
- (2 0 2), 47.70°, d 1.907, rel. 40

Cell and atoms:
```
data_NaMgICl2
_chemical_formula_sum 'Na1 Mg1 I1 Cl2'
_cell_length_a 4.8739
_cell_length_b 4.8739
_cell_length_c 6.1237
_cell_angle_alpha 90.00
_cell_angle_beta 90.00
_cell_angle_gamma 90.00
_space_group_name_H-M_alt 'P 4/m m m'
_space_group_IT_number 123
_space_group_name_Hall '-P 4 2'
loop_
_atom_site_label
_atom_site_type_symbol
_atom_site_fract_x
_atom_site_fract_y
_atom_site_fract_z
_atom_site_occupancy
Na1 Na 0.0000 0.0000 0.0000 1
Mg1 Mg 0.5000 0.5000 0.5000 1
I1 I 0.5000 0.5000 0.0000 1
Cl1 Cl 0.0000 0.5000 0.5000 1
```

***

This entry pairs a crystal structure of Ba2AsPt with its calculated powder diffractogram. Radiation: λ = 1.5418 Å (Cu Kα). Structure: a GGA-PBE-relaxed structure.

The 6 most intense peaks (2θ from 10° to 80°), sorted by position:
- (1 0 -1), 15.21°, d 5.827, rel. 73
- (1 1 1), 27.85°, d 3.203, rel. 90
- (0 1 2), 27.99°, d 3.188, rel. 100
- (2 0 0), 29.56°, d 3.022, rel. 87
- (1 0 -3), 29.96°, d 2.982, rel. 82
- (2 1 -2), 36.35°, d 2.471, rel. 80

Cell and atoms:
```
data_Ba2AsPt
_chemical_formula_sum 'Ba4 As2 Pt2'
_cell_length_a 6.3182
_cell_length_b 4.6693
_cell_length_c 9.1207
_cell_angle_alpha 90.00
_cell_angle_beta 106.95
_cell_angle_gamma 90.00
_space_group_name_H-M_alt 'P 1 21/m 1'
_space_group_IT_number 11
_space_group_name_Hall '-P 2yb'
loop_
_atom_site_label
_atom_site_type_symbol
_atom_site_fract_x
_atom_site_fract_y
_atom_site_fract_z
_atom_site_occupancy
Ba1 Ba 0.2020 0.2500 0.4173 1
Ba2 Ba 0.2807 0.7500 0.0616 1
As1 As 0.3408 0.7500 0.7153 1
Pt1 Pt 0.1929 0.2500 0.7705 1
```

***

This entry pairs a crystal structure of NdPu2UAs4 with its calculated powder diffractogram. Radiation: λ = 1.5418 Å (Cu Kα). Structure: a GGA-PBE-relaxed structure.

The 6 most intense peaks (2θ from 10° to 80°), sorted by position:
- (1 1 2), 26.25°, d 3.395, rel. 40
- (2 0 0), 30.40°, d 2.940, rel. 100
- (2 2 0), 43.53°, d 2.079, rel. 76
- (2 2 4), 54.02°, d 1.697, rel. 27
- (4 2 0), 71.80°, d 1.315, rel. 35
- (4 2 4), 79.93°, d 1.200, rel. 26

Cell and atoms:
```
data_NdPu2UAs4
_chemical_formula_sum 'Nd2 Pu4 U2 As8'
_cell_length_a 5.8813
_cell_length_b 5.8813
_cell_length_c 11.7540
_cell_angle_alpha 90.00
_cell_angle_beta 90.00
_cell_angle_gamma 90.00
_space_group_name_H-M_alt 'I -4 m 2'
_space_group_IT_number 119
_space_group_name_Hall 'I -4 -2'
loop_
_atom_site_label
_atom_site_type_symbol
_atom_site_fract_x
_atom_site_fract_y
_atom_site_fract_z
_atom_site_occupancy
Nd1 Nd 0.0000 0.0000 0.0000 1
Pu1 Pu 0.0000 0.0000 0.5000 1
Pu2 Pu 0.0000 0.5000 0.2500 1

Farhaan Mirza is the director of Data Science Research Centre at AUT and deputy chair of HiNZ scientific publications committee. He has published many articles on data science & health informatics. Farhaan delivered many public sector projects in digital health, transport planning, and technology innovation. He holds a PhD from University of Auckland and MEng and BEng in Software. His industry experience includes working with many health IT organisations in NZ.





Becky George

Clinical Director - Data and Digital - Hira
Te Whatu Ora - Health New Zealand

Becky is passionate about advocating for the safe and effective delivery of health care services, across the health and disability system, integrated with digital health and innovative technology. As Clinical Director with Data and Digital, Te Whatu Ora, she applies her extensive experience in clinical informatics and digital health to provide strategic leadership for the Hira Programme.

Becky is an Occupational Therapist, Doctoral student, Fellow of HiNZ, Associate Fellow of the Australasian Institute of Digital Health, Te Whatu Ora Liaison for CiLN, and was elected chair of the Health Informatics New Zealand Board for 2019 - 2021. She is driven by the belief in effective leadership, robust governance, and collaborative partnership across our services to achieve lasting change for consumers.

Becky has provided leadership to the co-design, implementation and change management of digital solutions across primary and secondary services. She co-authored the Allied Health National Data Set Standard (2018), and the 2020 position statements for Allied Health Leading Data and Digital Driven Services and Clinical Informatics Leadership.

Becky was also awarded the inaugural Clinical Informatics Leadership Award 2019, recognising the achievements of a clinician working in Digital health in New Zealand. She continues to champion effective change within our health and disability system for the benefit of our whānau and workforce.

Nathan Kershaw

Specialist Anaesthetist and Clinical Informatician

My vision is for a connected, collaborative, and effective New Zealand health informatics sector that is the envy of the world. My clinical, health informatics, academic, and online community experience equip me to contribute.

As a Specialist Anaesthetist, I work across a variety of health settings. I experience clinical informatics problems first hand and understand the practical barriers that must be overcome to embed positive change. I have witnessed a variety of approaches and informatics systems at various stages of maturity and observed that partnership between clinical and technical expertise is the hallmark of successful systems.

I spent 18-months undertaking a Digital Health Fellowship at a very large and highly digitised NHS Trust and gained insight into the realities and challenges of work as a health informatician. To further extend my knowledge and understanding I completed a Masters focusing on health informatics at The University of Auckland, and am committed to the need to communicate research findings effectively in our sector.

I became Co-chair of CiLN six months following its establishment. During my tenure, I have overseen the provisioning of the CiLN Advisory Panel, the creation and implementation of governance structures and founding documents, and the establishment of the CiLN working groups. The relationship between CiLN and HiNZ has been fundamentally important throughout this time and has led to CiLN now being included with the HiNZ governance structure. Through this process, I have established collaborative relationships with key people across the health informatics sector.

I have particular expertise in online community development. I was impressed by the Digital Health Networks (DHN) community in the UK, which complements periodic meetings within the sector. In response, I established the NZ equivalent for CiLN and have sustained it since. This has now evolved into the HiNZ eHealth Forum, which I administer on a pro-bono basis.

Deb Boyd

Ormiston Surgical and Endoscopy

Deb Boyd is the Chief Executive Officer for Ormiston Surgical and Endoscopy and has been a member of the HiNZ Board since 2016. Deb is a Registered Nurse, has a Masters in Health Services Management and is a CHIA.

Deb has been leading private health organisations since 2007 and is part of the HIRA Clinical Reference group and the HiNZ NMI SIG.

Deb is passionate about digital technology and the potential for it to add value through systems improvement and innovation. Seeing people being able to participate in their own health outcomes through connected services and access to their information is powerful.

## Misplaced records of crystals
........
No. 1
Starting from DFT lattice parameters and positions (PBE), the PXRD pattern of K4Br2O was computed for CuKα.
No peak broadening, texture or thermal motion is included.

The 10 most intense peaks (2θ from 10° to 90°), sorted by position:
2θ = 23.29°, intensity 25; 2θ = 24.04°, intensity 50; 2θ = 26.32°, intensity 46; 2θ = 32.04°, intensity 29; 2θ = 32.27°, intensity 100; 2θ = 34.26°, intensity 70; 2θ = 47.61°, intensity 35; 2θ = 49.23°, intensity 23; 2θ = 60.09°, intensity 30; 2θ = 60.65°, intensity 18

Crystal structure
Cell lengths 9.161, 9.161, 9.161 Å; angles 146.79, 146.79, 47.67 degrees
Positions (direct):
K 0.000 0.500 0.500
K 0.155 0.155 0.000
K 0.500 0.000 0.500
K 0.845 0.845 0.000
Br 0.354 0.354 0.000
Br 0.646 0.646 0.000
O 0.000 0.000 0.000

No. 2
Starting from DFT lattice parameters and positions (PBE), the PXRD pattern of K2P4PtBrO11 was computed for CuKα.
No peak broadening, texture or thermal motion is included.

The 10 most intense peaks (2θ from 10° to 90°), sorted by position:
2θ = 10.47°, intensity 100; 2θ = 10.67°, intensity 9; 2θ = 10.90°, intensity 13; 2θ = 17.94°, intensity 17; 2θ = 18.42°, intensity 20; 2θ = 21.04°, intensity 9; 2θ = 22.97°, intensity 10; 2θ = 25.90°, intensity 16; 2θ = 27.61°, intensity 8; 2θ = 35.64°, intensity 13

Crystal structure
Cell lengths 10.330, 10.191, 11.603 Å; angles 56.13, 55.01, 68.86 degrees
Positions (direct):
K 0.207 0.793 0.207
K 0.280 0.280 0.220
K 0.780 0.780 0.720
K 0.793 0.207 0.793
P 0.097 0.511 0.673
P 0.281 0.327 0.489
P 0.327 0.281 0.903
P 0.476 0.930 0.220
P 0.511 0.097 0.719
P 0.626 0.780 0.070
P 0.780 0.626 0.524
P 0.930 0.476 0.374
Pt 0.336 0.495 0.664
Pt 0.495 0.336 0.505
Br 0.324 0.726 0.676
Br 0.726 0.324 0.274
O 0.107 0.666 0.531
O 0.137 0.356 0.644
O 0.164 0.273 0.036
O 0.273 0.164 0.527
O 0.304 0.469 0.334
O 0.304 0.970 0.266
O 0.356 0.137 0.863
O 0.469 0.304 0.893
O 0.473 0.964 0.727
O 0.526 0.740 0.260
O 0.540 0.734 0.030
O 0.548 0.997 0.256
O 0.583 0.970 0.030
O 0.666 0.107 0.696
O 0.734 0.540 0.696
O 0.740 0.526 0.474
O 0.744 0.801 0.452
O 0.801 0.744 0.003
O 0.964 0.473 0.836
O 0.970 0.304 0.460
O 0.970 0.583 0.417
O 0.997 0.548 0.199

No. 3
Starting from DFT lattice parameters and positions (PBE), the PXRD pattern of KPbBr3O was computed for CuKα.
No peak broadening, texture or thermal motion is included.

The 10 most intense peaks (2θ from 10° to 90°), sorted by position:
2θ = 13.48°, intensity 100; 2θ = 20.67°, intensity 44; 2θ = 21.94°, intensity 47; 2θ = 25.44°, intensity 46; 2θ = 30.99°, intensity 64; 2θ = 35.55°, intensity 24; 2θ = 36.34°, intensity 44; 2θ = 38.41°, intensity 28; 2θ = 38.72°, intensity 38; 2θ = 47.63°, intensity 23

Crystal structure
Cell lengths 10.113, 10.113, 8.827 Å; angles 90.00, 90.00, 153.20 degrees
Positions (direct):
K 0.072 0.928 0.500
K 0.928 0.072 0.000
Pb 0.323 0.677 0.517
Pb 0.677 0.323 0.017
Br 0.108 0.892 0.864
Br 0.224 0.776 0.233
Br 0.460 0.540 0.682
Br 0.540 0.460 0.182
Br 0.776 0.224 0.733
Br 0.892 0.108 0.364
........

Deb is honoured to be recognised by her peers with this Fellowship. Digital Health leadership, advocacy and recognition is important for our progress nationally across the sector.

Geoff Sayer

CEO/Managing Director
Medtech Global

Geoffrey has supported the standards-based community through executive leadership for the development, implementation and harmonisation of standards for the exchange of health information by standards-based interoperability through partnering programs through HeathLink, Toniq and Medtech.

Geoffrey has been a vocal advocate and support for the role of primary care providers through delivery of IT services and innovation that improves the efficiency and effectiveness of practitioners. His innovative work has emphasised privacy, consent and security with the development of ALEX platform to ensure information is appropriately accessed with the consumer at the centre of information sharing for the democratisation of data. Vendors have also been supported for innovation through the adoption of secure and standards-based interoperability applications.

Geoffrey is CEO/Managing Director of Medtech Global, Chair of Z Software and Managing Director of Acclivis Group, an investment advisory service. He has over 30 years of leadership and executive management experience in contemporary product development, performance improvements, and change management for developing and mature Health IT businesses in Australia and New Zealand. Previously Managing Director Clanwilliam Group, Managing Director Toniq, General Manager Telstra Health, Head of Operations and Sales HealthLink and past President of MSIA.